Source >
____________
Run P
Density functional theory data (GGA-PBE) for a relaxed KCeMg6O8 crystal.

Lattice parameters (Å, degrees): 4.6290 4.6290 9.1756 90.00 90.00 90.00
Space group P4/mmm (No. 123)
Symmetry-distinct sites (fractional):
K  0.0000  0.0000  0.0000 x1
Ce  0.0000  0.0000  0.5000 x1
Mg  0.0000  0.5000  0.2255 x4
Mg  0.5000  0.5000  0.0000 x1
Mg  0.5000  0.5000  0.5000 x1
O  0.0000  0.0000  0.2598 x2
O  0.0000  0.5000  0.0000 x2
O  0.0000  0.5000  0.5000 x2
O  0.5000  0.5000  0.2472 x2

***

Run Q
Density functional theory data (GGA-PBE) for a relaxed KCeMg6O8 crystal.

Lattice parameters (Å, degrees): 4.6065 4.6065 9.1052 90.00 90.00 90.00
Space group P4/mmm (No. 123)
Symmetry-distinct sites (fractional):
K  0.0000  0.0000  0.0000 x1
Ce  0.5000  0.5000  0.0000 x1
Mg  0.0000  0.0000  0.5000 x1
Mg  0.0000  0.5000  0.2749 x4
Mg  0.5000  0.5000  0.5000 x1
O  0.0000  0.0000  0.2805 x2
O  0.0000  0.5000  0.0000 x2
O  0.0000  0.5000  0.5000 x2
O  0.5000  0.5000  0.2688 x2

***

What is the stability order? It is run Q, run P, from most stable to least stable.

***

Run P
Density functional theory data (GGA-PBE) for a relaxed KCeP4O12 crystal.

Lattice parameters (Å, degrees): 7.5233 13.5080 12.7232 90.00 126.21 90.00
Space group P2_1/c (No. 14)
Symmetry-distinct sites (fractional):
K  0.0651  0.2252  0.0674 x4
Ce  0.4692  0.2204  0.9777 x4
P  0.0121  0.5987  0.2471 x4
P  0.1040  0.6127  0.7412 x4
P  0.3544  0.6236  0.2014 x4
P  0.4577  0.0911  0.7048 x4
O  0.0711  0.5137  0.7973 x4
O  0.1052  0.1413  0.8870 x4
O  0.1070  0.6185  0.1633 x4
O  0.1894  0.1623  0.3085 x4
O  0.1905  0.6062  0.3912 x4
O  0.2075  0.6863  0.8504 x4
O  0.2758  0.5806  0.7095 x4
O  0.3446  0.7019  0.1144 x4
O  0.3726  0.1561  0.5886 x4
O  0.3769  0.5197  0.1484 x4
O  0.3977  0.1158  0.7954 x4
O  0.4788  0.1328  0.1538 x4

***

Run Q
Density functional theory data (GGA-PBE) for a relaxed KCeP4O12 crystal.

Lattice parameters (Å, degrees): 7.2602 8.4754 8.1976 90.00 92.27 90.00
Space group P2_1 (No. 4)
Symmetry-distinct sites (fractional):
K  0.2049  0.0000  0.2754 x2
Ce  0.2696  0.2478  0.7525 x2
P  0.0514  0.8741  0.8974 x2
P  0.1345  0.5127  0.3953 x2
P  0.3890  0.6718  0.9017 x2
P  0.4951  0.8855  0.6250 x2
O  0.0472  0.6665  0.3439 x2
O  0.0562  0.3694  0.2788 x2
O  0.0854  0.3456  0.9725 x2
O  0.1220  0.4598  0.5695 x2
O  0.1725  0.7153  0.8747 x2
O  0.1746  0.0156  0.9202 x2
O  0.3155  0.9717  0.5985 x2
O  0.3467  0.5178  0.3455 x2
O  0.4166  0.5137  0.8230 x2
O  0.4419  0.2690  0.4995 x2
O  0.4501  0.6969  0.0769 x2
O  0.4986  0.3040  0.1970 x2

***

What is the stability order? It is run P, run Q, from most stable to least stable.

***

Run P
Density functional theory data (GGA-PBE) for a relaxed KSrCeSbO6 crystal.

Lattice parameters (Å, degrees): 8.4382 8.4465 8.4763 90.00 90.00 90.00
Space group Pnnn (No. 48, origin choice 2)
Symmetry-distinct sites (fractional):
K  0.2500  0.2500  0.2500 x2
K  0.2500  0.7500  0.7500 x2
Sr  0.2500  0.2500  0.7500 x2
Sr  0.2500  0.7500  0.2500 x2
Ce  0.0000  0.0000  0.0000 x4
Sb  0.0000  0.0000  0.5000 x4
O  0.0133  0.0252  0.7370 x8
O  0.0142  0.7378  0.9970 x8
O  0.2373  0.0121  0.4869 x8

***

Run Q
Density functional theory data (GGA-PBE) for a relaxed KSrCeSbO6 crystal.

Lattice parameters (Å, degrees): 8.4643 8.4643 8.4643 90.00 90.00 90.00
Space group F-43m (No. 216)
Symmetry-distinct sites (fractional):
K  0.0000  0.0000  0.0000 x4
Sr  0.0000  0.0000  0.5000 x4
Ce  0.2500  0.2500  0.2500 x4
Sb  0.2500  0.2500  0.7500 x4
O  0.0126  0.2500  0.7500 x24

***

What is the stability order? It is run P, run Q, from most stable to least stable.

***

Run P
Density functional theory data (GGA-PBE) for a relaxed LiCeMg14 crystal.

Lattice parameters (Å, degrees): 6.5429 6.5429 10.2918 90.00 90.00 120.00
Space group P-6m2 (No. 187)
Symmetry-distinct sites (fractional):
Li  0.0000  0.0000  0.0000 x1
Ce  0.0000  0.0000  0.5000 x1
Mg  0.0003  0.5001  0.0000 x3
Mg  0.0157  0.5078  0.5000 x3
Mg  0.1665  0.3330  0.2416 x6
____________

Assignment >
Now duplicate the listing above without altering anything.

Worked solution >
Run P
Density functional theory data (GGA-PBE) for a relaxed KCeMg6O8 crystal.

Lattice parameters (Å, degrees): 4.6290 4.6290 9.1756 90.00 90.00 90.00
Space group P4/mmm (No. 123)
Symmetry-distinct sites (fractional):
K  0.0000  0.0000  0.0000 x1
Ce  0.0000  0.0000  0.5000 x1
Mg  0.0000  0.5000  0.2255 x4
Mg  0.5000  0.5000  0.0000 x1
Mg  0.5000  0.5000  0.5000 x1
O  0.0000  0.0000  0.2598 x2
O  0.0000  0.5000  0.0000 x2
O  0.0000  0.5000  0.5000 x2
O  0.5000  0.5000  0.2472 x2

***

Run Q
Density functional theory data (GGA-PBE) for a relaxed KCeMg6O8 crystal.

Lattice parameters (Å, degrees): 4.6065 4.6065 9.1052 90.00 90.00 90.00
Space group P4/mmm (No. 123)
Symmetry-distinct sites (fractional):
K  0.0000  0.0000  0.0000 x1
Ce  0.5000  0.5000  0.0000 x1
Mg  0.0000  0.0000  0.5000 x1
Mg  0.0000  0.5000  0.2749 x4
Mg  0.5000  0.5000  0.5000 x1
O  0.0000  0.0000  0.2805 x2
O  0.0000  0.5000  0.0000 x2
O  0.0000  0.5000  0.5000 x2
O  0.5000  0.5000  0.2688 x2

***

What is the stability order? It is run Q, run P, from most stable to least stable.

***

Run P
Density functional theory data (GGA-PBE) for a relaxed KCeP4O12 crystal.

Lattice parameters (Å, degrees): 7.5233 13.5080 12.7232 90.00 126.21 90.00
Space group P2_1/c (No. 14)
Symmetry-distinct sites (fractional):
K  0.0651  0.2252  0.0674 x4
Ce  0.4692  0.2204  0.9777 x4
P  0.0121  0.5987  0.2471 x4
P  0.1040  0.6127  0.7412 x4
P  0.3544  0.6236  0.2014 x4
P  0.4577  0.0911  0.7048 x4
O  0.0711  0.5137  0.7973 x4
O  0.1052  0.1413  0.8870 x4
O  0.1070  0.6185  0.1633 x4
O  0.1894  0.1623  0.3085 x4
O  0.1905  0.6062  0.3912 x4
O  0.2075  0.6863  0.8504 x4
O  0.2758  0.5806  0.7095 x4
O  0.3446  0.7019  0.1144 x4
O  0.3726  0.1561  0.5886 x4
O  0.3769  0.5197  0.1484 x4
O  0.3977  0.1158  0.7954 x4
O  0.4788  0.1328  0.1538 x4

***

Run Q
Density functional theory data (GGA-PBE) for a relaxed KCeP4O12 crystal.

Lattice parameters (Å, degrees): 7.2602 8.4754 8.1976 90.00 92.27 90.00
Space group P2_1 (No. 4)
Symmetry-distinct sites (fractional):
K  0.2049  0.0000  0.2754 x2
Ce  0.2696  0.2478  0.7525 x2
P  0.0514  0.8741  0.8974 x2
P  0.1345  0.5127  0.3953 x2
P  0.3890  0.6718  0.9017 x2
P  0.4951  0.8855  0.6250 x2
O  0.0472  0.6665  0.3439 x2
O  0.0562  0.3694  0.2788 x2
O  0.0854  0.3456  0.9725 x2
O  0.1220  0.4598  0.5695 x2
O  0.1725  0.7153  0.8747 x2
O  0.1746  0.0156  0.9202 x2
O  0.3155  0.9717  0.5985 x2
O  0.3467  0.5178  0.3455 x2
O  0.4166  0.5137  0.8230 x2
O  0.4419  0.2690  0.4995 x2
O  0.4501  0.6969  0.0769 x2
O  0.4986  0.3040  0.1970 x2

***

What is the stability order? It is run P, run Q, from most stable to least stable.

***

Run P
Density functional theory data (GGA-PBE) for a relaxed KSrCeSbO6 crystal.

Lattice parameters (Å, degrees): 8.4382 8.4465 8.4763 90.00 90.00 90.00
Space group Pnnn (No. 48, origin choice 2)
Symmetry-distinct sites (fractional):
K  0.2500  0.2500  0.2500 x2
K  0.2500  0.7500  0.7500 x2
Sr  0.2500  0.2500  0.7500 x2
Sr  0.2500  0.7500  0.2500 x2
Ce  0.0000  0.0000  0.0000 x4
Sb  0.0000  0.0000  0.5000 x4
O  0.0133  0.0252  0.7370 x8
O  0.0142  0.7378  0.9970 x8
O  0.2373  0.0121  0.4869 x8

***

Run Q
Density functional theory data (GGA-PBE) for a relaxed KSrCeSbO6 crystal.

Lattice parameters (Å, degrees): 8.4643 8.4643 8.4643 90.00 90.00 90.00
Space group F-43m (No. 216)
Symmetry-distinct sites (fractional):
K  0.0000  0.0000  0.0000 x4
Sr  0.0000  0.0000  0.5000 x4
Ce  0.2500  0.2500  0.2500 x4
Sb  0.2500  0.2500  0.7500 x4
O  0.0126  0.2500  0.7500 x24

***

What is the stability order? It is run P, run Q, from most stable to least stable.

***

Run P
Density functional theory data (GGA-PBE) for a relaxed LiCeMg14 crystal.

Lattice parameters (Å, degrees): 6.5429 6.5429 10.2918 90.00 90.00 120.00
Space group P-6m2 (No. 187)
Symmetry-distinct sites (fractional):
Li  0.0000  0.0000  0.0000 x1
Ce  0.0000  0.0000  0.5000 x1
Mg  0.0003  0.5001  0.0000 x3
Mg  0.0157  0.5078  0.5000 x3
Mg  0.1665  0.3330  0.2416 x6